[Material]
Entry 1:
A structure of composition C24H22N5S3Tl, computed with ωB97M-V with the def2-TZVPD basis set.

## Properties
Highest occupied orbital energy, eV: -6.40
LUMO, eV: -0.40
Net charge: 0
E, eV: -69895.3582

The geometry in XYZ format:
```
55
Properties=species:S:1:pos:R:3:mulliken_charge:R:1
Tl -0.078 0.342 -0.672 0.946
C 4.199 -1.501 -1.071 -0.928
C 4.179 -2.659 -0.315 -0.405
C 2.990 -3.075 0.261 -0.928
C 1.840 -2.316 0.074 0.508
N 1.890 -1.177 -0.620 0.263
C 3.022 -0.781 -1.185 -0.129
C 0.507 -2.735 0.604 0.728
C 0.337 -3.899 1.346 -1.032
C -0.929 -4.220 1.799 -0.879
C -1.989 -3.374 1.524 -1.031
C -1.748 -2.222 0.786 0.563
N -0.530 -1.948 0.328 0.474
C -2.829 -1.246 0.452 0.644
C -4.159 -1.455 0.801 -0.915
C -5.122 -0.556 0.373 -0.390
C -4.745 0.525 -0.405 -0.911
C -3.397 0.690 -0.674 -0.073
N -2.477 -0.160 -0.240 0.148
H 5.101 -1.155 -1.557 0.396
H 5.080 -3.242 -0.176 0.433
H 2.973 -3.979 0.852 0.353
H 2.972 0.148 -1.744 0.444
H 1.170 -4.546 1.574 0.342
H -1.090 -5.125 2.369 0.434
H -2.978 -3.613 1.885 0.345
H -4.452 -2.304 1.400 0.348
H -6.159 -0.707 0.639 0.433
H -5.470 1.228 -0.789 0.397
H -3.030 1.530 -1.256 0.451
C 0.119 2.518 -4.978 -1.736
C -0.028 1.549 -3.815 0.745
S 0.260 2.360 -2.268 -0.296
C -0.340 0.261 -4.018 0.592
C -0.557 -0.317 -5.399 -1.428
S -0.559 -0.978 -2.785 -0.535
H 0.368 3.513 -4.614 0.431
H -0.808 2.595 -5.548 0.339
H 0.915 2.205 -5.657 0.338
H -0.443 0.420 -6.191 0.386
H -1.559 -0.748 -5.458 0.281
H 0.153 -1.129 -5.567 0.278
C 3.235 3.813 4.112 -1.118
C 1.845 3.302 3.881 0.844
C 0.736 3.855 4.510 -0.539
C -0.500 3.352 4.146 -0.219
N -0.644 2.339 3.299 -0.469
C 0.484 1.809 2.815 0.151
S 0.353 0.307 1.902 -0.221
N 1.712 2.287 3.028 -0.490
H 3.254 4.573 4.891 0.341
H 3.616 4.239 3.183 0.268
H 3.894 2.990 4.385 0.290
H 0.834 4.646 5.241 0.328
H -1.417 3.771 4.547 0.409
```

=====

Entry 2:
The molecule C4H4O3, computed with ωB97M-V with the def2-TZVPD basis set.

## Properties
Highest occupied orbital energy, eV: -10.17
LUMO, eV: 0.25
Net charge: 0
SMILES: O=CC1(C=O)CO1
E, eV: -10352.9516

The geometry in XYZ format:
```
11
Properties=species:S:1:pos:R:3:mulliken_charge:R:1
O 0.794 -1.119 1.911 -0.451
C -0.184 -0.775 1.298 -0.152
C -0.110 -0.114 -0.064 1.049
C -1.023 1.051 -0.277 -0.198
O -1.443 1.704 0.647 -0.464
C 1.127 -0.218 -0.846 -0.545
O 0.001 -1.018 -1.159 -0.429
H -1.206 -0.953 1.679 0.327
H -1.282 1.263 -1.334 0.348
H 1.370 0.553 -1.576 0.263
H 1.964 -0.740 -0.385 0.250
```

=====

Entry 3:
The molecule C7H9NO3S, computed with ωB97M-V with the def2-TZVPD basis set.

## Properties
Highest occupied orbital energy, eV: -7.81
LUMO, eV: 0.71
Net charge: 0
E, eV: -25867.3995

The geometry in XYZ format:
```
21
Properties=species:S:1:pos:R:3:mulliken_charge:R:1
C -2.869 -0.784 -1.316 -0.333
C -1.570 -1.347 -1.482 -0.945
C -2.839 -0.076 -0.082 -0.587
C -0.920 -0.855 -0.366 0.710
C 0.875 0.538 1.761 -0.209
C 1.919 1.087 0.906 -0.709
C 1.519 -0.826 -0.721 -0.685
N 0.337 -1.229 0.160 0.060
O 2.453 1.478 -1.671 -0.698
O -1.653 -0.116 0.399 -0.210
O 0.517 -0.924 1.445 -0.391
S 1.329 1.008 -0.867 0.628
H -3.734 -0.900 -1.975 0.382
H -1.131 -1.890 -2.212 0.525
H -3.552 0.661 0.161 0.436
H 1.068 0.455 2.881 0.344
H -0.018 1.249 1.628 0.187
H 2.147 2.197 1.059 0.392
H 2.980 0.669 0.995 0.295
H 2.381 -1.049 -0.122 0.361
H 1.388 -1.324 -1.600 0.447
```

=====

Entry 4:
The molecule C2H8OS2Si, computed with ωB97M-V with the def2-TZVPD basis set.

## Properties
Highest occupied orbital energy (spin up / spin down), eV: -6.69 / -8.92
LUMO (spin up / spin down), eV: 0.42 / -2.51
Net charge: 0
Spin multiplicity: 3
Expectation value of S²: 2.007
E, eV: -33796.1991

The geometry in XYZ format:
```
14
Properties=species:S:1:pos:R:3:mulliken_spin:R:1
C -0.206 -0.679 1.533 0.012
C -1.238 1.475 -0.743 0.014
O 1.618 1.191 0.055 0.247
Si 0.175 0.456 -0.045 0.079
S 3.091 0.274 -0.171 1.661
S 0.083 -1.603 -1.771 -0.003
H -0.897 -0.117 2.295 -0.001
H -0.789 -1.330 1.030 -0.001
H 0.662 -1.140 2.035 -0.002

[Assignment]
Find the line above that holds "5.241 0.328", then give back that line and all lines after it there.

[Solution]
H 0.834 4.646 5.241 0.328
H -1.417 3.771 4.547 0.409
```

=====

Entry 2:
The molecule C4H4O3, computed with ωB97M-V with the def2-TZVPD basis set.

## Properties
Highest occupied orbital energy, eV: -10.17
LUMO, eV: 0.25
Net charge: 0
SMILES: O=CC1(C=O)CO1
E, eV: -10352.9516

The geometry in XYZ format:
```
11
Properties=species:S:1:pos:R:3:mulliken_charge:R:1
O 0.794 -1.119 1.911 -0.451
C -0.184 -0.775 1.298 -0.152
C -0.110 -0.114 -0.064 1.049
C -1.023 1.051 -0.277 -0.198
O -1.443 1.704 0.647 -0.464
C 1.127 -0.218 -0.846 -0.545
O 0.001 -1.018 -1.159 -0.429
H -1.206 -0.953 1.679 0.327
H -1.282 1.263 -1.334 0.348
H 1.370 0.553 -1.576 0.263
H 1.964 -0.740 -0.385 0.250
```

=====

Entry 3:
The molecule C7H9NO3S, computed with ωB97M-V with the def2-TZVPD basis set.

## Properties
Highest occupied orbital energy, eV: -7.81
LUMO, eV: 0.71
Net charge: 0
E, eV: -25867.3995

The geometry in XYZ format:
```
21
Properties=species:S:1:pos:R:3:mulliken_charge:R:1
C -2.869 -0.784 -1.316 -0.333
C -1.570 -1.347 -1.482 -0.945
C -2.839 -0.076 -0.082 -0.587
C -0.920 -0.855 -0.366 0.710
C 0.875 0.538 1.761 -0.209
C 1.919 1.087 0.906 -0.709
C 1.519 -0.826 -0.721 -0.685
N 0.337 -1.229 0.160 0.060
O 2.453 1.478 -1.671 -0.698
O -1.653 -0.116 0.399 -0.210
O 0.517 -0.924 1.445 -0.391
S 1.329 1.008 -0.867 0.628
H -3.734 -0.900 -1.975 0.382
H -1.131 -1.890 -2.212 0.525
H -3.552 0.661 0.161 0.436
H 1.068 0.455 2.881 0.344
H -0.018 1.249 1.628 0.187
H 2.147 2.197 1.059 0.392
H 2.980 0.669 0.995 0.295
H 2.381 -1.049 -0.122 0.361
H 1.388 -1.324 -1.600 0.447
```

=====

Entry 4:
The molecule C2H8OS2Si, computed with ωB97M-V with the def2-TZVPD basis set.

## Properties
Highest occupied orbital energy (spin up / spin down), eV: -6.69 / -8.92
LUMO (spin up / spin down), eV: 0.42 / -2.51
Net charge: 0
Spin multiplicity: 3
Expectation value of S²: 2.007
E, eV: -33796.1991

The geometry in XYZ format:
```
14
Properties=species:S:1:pos:R:3:mulliken_spin:R:1
C -0.206 -0.679 1.533 0.012
C -1.238 1.475 -0.743 0.014
O 1.618 1.191 0.055 0.247
Si 0.175 0.456 -0.045 0.079
S 3.091 0.274 -0.171 1.661
S 0.083 -1.603 -1.771 -0.003
H -0.897 -0.117 2.295 -0.001
H -0.789 -1.330 1.030 -0.001
H 0.662 -1.140 2.035 -0.002